Assignment:
Please give back the whole of the entries below without additions.

Entries:
____________
# 1
Density functional theory data (the ωB97M-V functional and the def2-TZVPD basis) for a structure of composition C54H56Cl5N8O3SeV.

Structure (ORCA input):
```
! RIJCOSX wB97M-V def2-TZVPD def2/J DEFGRID3
* xyz 2 1
V -0.27 0.30 -0.43
C 2.96 -4.85 4.23
C 1.85 -3.97 4.83
C 2.34 -3.32 6.14
C 0.64 -4.85 5.15
C 1.51 -2.87 3.83
C 0.24 -2.71 3.29
C 0.02 -1.76 2.31
Se -1.78 -1.52 1.66
C -1.68 -2.78 0.22
C -1.93 -4.11 0.45
C -1.86 -5.03 -0.60
C -1.65 -4.51 -1.87
C -1.44 -3.16 -2.16
C -1.38 -2.29 -1.07
O -0.96 -1.00 -1.09
C -1.35 -2.76 -3.64
C -1.18 -1.26 -3.85
C -0.19 -3.49 -4.33
C -2.67 -3.17 -4.32
C -1.98 -6.52 -0.32
C -1.92 -7.36 -1.59
C -0.81 -6.92 0.60
C -3.31 -6.80 0.40
C 1.05 -0.92 1.86
O 0.72 -0.07 0.85
C 2.32 -0.98 2.47
C 2.50 -1.98 3.42
C 3.45 0.00 2.15
C 2.96 1.43 2.43
C 4.70 -0.24 3.01
C 3.89 -0.11 0.68
H 3.19 -5.66 4.92
H 2.64 -5.28 3.28
H 3.88 -4.29 4.06
H 2.54 -4.09 6.88
H 3.27 -2.76 5.99
H 1.59 -2.64 6.54
H 0.94 -5.62 5.85
H -0.17 -4.28 5.60
H 0.26 -5.35 4.25
H -0.60 -3.31 3.63
H -2.18 -4.43 1.45
H -1.66 -5.20 -2.71
H -0.22 -0.91 -3.46
H -1.20 -1.05 -4.92
H -1.99 -0.70 -3.38
H 0.77 -3.23 -3.89
H -0.30 -4.57 -4.29
H -0.17 -3.21 -5.39
H -3.53 -2.68 -3.85
H -2.64 -2.89 -5.37
H -2.84 -4.25 -4.27
H -0.98 -7.21 -2.12
H -1.99 -8.41 -1.32
H -2.75 -7.13 -2.26
H 0.14 -6.74 0.10
H -0.82 -6.36 1.54
H -0.88 -7.98 0.84
H -4.16 -6.48 -0.22
H -3.41 -7.87 0.58
H -3.38 -6.29 1.36
H 3.47 -2.06 3.87
H 2.63 1.53 3.47
H 3.76 2.15 2.25
H 2.13 1.68 1.77
H 4.48 -0.13 4.08
H 5.12 -1.23 2.84
H 5.45 0.50 2.75
H 3.08 0.19 0.02
H 4.74 0.54 0.50
H 4.17 -1.14 0.44
C -1.22 3.94 3.84
N -1.48 3.00 2.76
C -0.63 2.53 1.86
N -1.28 1.75 1.00
C -2.57 1.76 1.48
N -2.71 2.52 2.53
C -1.01 5.36 3.37
C -0.77 6.33 4.34
C -0.56 7.65 3.98
C -0.56 8.02 2.65
C -0.80 7.06 1.67
C -1.03 5.73 2.04
C -0.79 7.46 0.27
N -0.65 8.66 -0.19
N -0.69 8.57 -1.55
C -0.86 7.32 -1.84
O -0.93 6.55 -0.72
C -0.99 6.74 -3.17
C -0.84 7.58 -4.28
C -0.99 7.05 -5.55
C -1.30 5.72 -5.73
C -1.45 4.88 -4.62
C -1.82 3.43 -4.88
N -1.89 2.64 -3.67
C -0.95 1.87 -3.15
N -1.34 1.43 -1.96
C -2.58 2.00 -1.81
N -2.93 2.74 -2.82
C -1.29 5.39 -3.35
H -0.34 3.59 4.38
H -2.07 3.88 4.51
H 0.42 2.79 1.83
H -3.39 1.22 1.05
H -0.76 6.05 5.39
H -0.38 8.39 4.75
H -0.39 9.05 2.35
H -1.23 5.02 1.25
H -0.62 8.62 -4.12
H -0.87 7.69 -6.42
H -1.43 5.32 -6.73
H -1.08 2.97 -5.53
H -2.79 3.37 -5.38
H -0.03 1.62 -3.66
H -3.22 1.85 -0.96
H -1.40 4.77 -2.47
Cl 1.72 -2.33 -1.57
C 2.05 -0.75 -2.16
C 1.34 0.33 -1.64
C 1.80 1.60 -1.90
Cl 1.08 2.86 -0.94
C 2.83 1.86 -2.79
Cl 3.30 3.47 -3.12
C 3.46 0.77 -3.40
Cl 4.72 1.04 -4.53
C 3.09 -0.53 -3.06
Cl 3.93 -1.87 -3.73
*
```

Output
DFT total energy, eV: -228603.57788
Energy above the lowest of the compared OMol25 structures with the same formula, charge and spin, kJ/mol: 0.00
Strongest force on any atom, eV/Å: 2.932
Lowest unoccupied orbital energy, eV: -7.52
E_HOMO, eV: -12.41
Gap between HOMO and LUMO, eV: 4.89

---

# 2
Density functional theory data (the ωB97M-V functional and the def2-TZVPD basis) for a cluster of 2 separate species, C40H41N4 in total.

Structure (ORCA input):
```
! RIJCOSX wB97M-V def2-TZVPD def2/J DEFGRID3
* xyz 1 1
C 6.53 1.29 -0.82
C 5.08 1.46 -0.50
C 4.14 0.93 -1.39
C 2.79 1.25 -1.28
C 1.90 1.13 -2.48
C 2.33 1.77 -0.07
N 0.97 2.19 -0.01
C -0.25 1.46 0.16
N -1.27 2.38 -0.28
C -2.66 2.29 -0.11
C -3.19 1.79 1.13
C -2.36 1.39 2.19
C -4.61 1.65 1.20
C -5.43 2.01 0.14
C -6.90 1.72 0.20
C -4.87 2.65 -0.98
C -3.48 2.78 -1.14
C -2.96 3.43 -2.39
C -0.66 3.58 -0.58
C 0.67 3.45 -0.48
C 3.25 2.41 0.78
C 2.78 3.44 1.77
C 4.61 2.21 0.59
H 7.16 1.84 -0.11
H 6.82 0.23 -0.81
H 6.74 1.66 -1.83
H 4.47 0.32 -2.22
H 1.01 0.52 -2.30
H 1.58 2.11 -2.87
H 2.47 0.62 -3.28
H -2.62 0.52 2.78
H -0.43 1.08 1.17
H -1.62 2.08 2.60
H -5.05 1.30 2.13
H -7.43 2.32 -0.54
H -7.10 0.66 -0.01
H -7.29 1.94 1.20
H -5.52 3.05 -1.76
H -3.76 3.46 -3.13
H -2.66 4.48 -2.21
H -2.11 2.89 -2.84
H -1.19 4.46 -0.89
H 1.42 4.19 -0.73
H 3.61 3.70 2.44
H 2.49 4.36 1.23
H 1.93 3.11 2.36
H 5.32 2.70 1.25
____________

Here it is:
# 1
Density functional theory data (the ωB97M-V functional and the def2-TZVPD basis) for a structure of composition C54H56Cl5N8O3SeV.

Structure (ORCA input):
```
! RIJCOSX wB97M-V def2-TZVPD def2/J DEFGRID3
* xyz 2 1
V -0.27 0.30 -0.43
C 2.96 -4.85 4.23
C 1.85 -3.97 4.83
C 2.34 -3.32 6.14
C 0.64 -4.85 5.15
C 1.51 -2.87 3.83
C 0.24 -2.71 3.29
C 0.02 -1.76 2.31
Se -1.78 -1.52 1.66
C -1.68 -2.78 0.22
C -1.93 -4.11 0.45
C -1.86 -5.03 -0.60
C -1.65 -4.51 -1.87
C -1.44 -3.16 -2.16
C -1.38 -2.29 -1.07
O -0.96 -1.00 -1.09
C -1.35 -2.76 -3.64
C -1.18 -1.26 -3.85
C -0.19 -3.49 -4.33
C -2.67 -3.17 -4.32
C -1.98 -6.52 -0.32
C -1.92 -7.36 -1.59
C -0.81 -6.92 0.60
C -3.31 -6.80 0.40
C 1.05 -0.92 1.86
O 0.72 -0.07 0.85
C 2.32 -0.98 2.47
C 2.50 -1.98 3.42
C 3.45 0.00 2.15
C 2.96 1.43 2.43
C 4.70 -0.24 3.01
C 3.89 -0.11 0.68
H 3.19 -5.66 4.92
H 2.64 -5.28 3.28
H 3.88 -4.29 4.06
H 2.54 -4.09 6.88
H 3.27 -2.76 5.99
H 1.59 -2.64 6.54
H 0.94 -5.62 5.85
H -0.17 -4.28 5.60
H 0.26 -5.35 4.25
H -0.60 -3.31 3.63
H -2.18 -4.43 1.45
H -1.66 -5.20 -2.71
H -0.22 -0.91 -3.46
H -1.20 -1.05 -4.92
H -1.99 -0.70 -3.38
H 0.77 -3.23 -3.89
H -0.30 -4.57 -4.29
H -0.17 -3.21 -5.39
H -3.53 -2.68 -3.85
H -2.64 -2.89 -5.37
H -2.84 -4.25 -4.27
H -0.98 -7.21 -2.12
H -1.99 -8.41 -1.32
H -2.75 -7.13 -2.26
H 0.14 -6.74 0.10
H -0.82 -6.36 1.54
H -0.88 -7.98 0.84
H -4.16 -6.48 -0.22
H -3.41 -7.87 0.58
H -3.38 -6.29 1.36
H 3.47 -2.06 3.87
H 2.63 1.53 3.47
H 3.76 2.15 2.25
H 2.13 1.68 1.77
H 4.48 -0.13 4.08
H 5.12 -1.23 2.84
H 5.45 0.50 2.75
H 3.08 0.19 0.02
H 4.74 0.54 0.50
H 4.17 -1.14 0.44
C -1.22 3.94 3.84
N -1.48 3.00 2.76
C -0.63 2.53 1.86
N -1.28 1.75 1.00
C -2.57 1.76 1.48
N -2.71 2.52 2.53
C -1.01 5.36 3.37
C -0.77 6.33 4.34
C -0.56 7.65 3.98
C -0.56 8.02 2.65
C -0.80 7.06 1.67
C -1.03 5.73 2.04
C -0.79 7.46 0.27
N -0.65 8.66 -0.19
N -0.69 8.57 -1.55
C -0.86 7.32 -1.84
O -0.93 6.55 -0.72
C -0.99 6.74 -3.17
C -0.84 7.58 -4.28
C -0.99 7.05 -5.55
C -1.30 5.72 -5.73
C -1.45 4.88 -4.62
C -1.82 3.43 -4.88
N -1.89 2.64 -3.67
C -0.95 1.87 -3.15
N -1.34 1.43 -1.96
C -2.58 2.00 -1.81
N -2.93 2.74 -2.82
C -1.29 5.39 -3.35
H -0.34 3.59 4.38
H -2.07 3.88 4.51
H 0.42 2.79 1.83
H -3.39 1.22 1.05
H -0.76 6.05 5.39
H -0.38 8.39 4.75
H -0.39 9.05 2.35
H -1.23 5.02 1.25
H -0.62 8.62 -4.12
H -0.87 7.69 -6.42
H -1.43 5.32 -6.73
H -1.08 2.97 -5.53
H -2.79 3.37 -5.38
H -0.03 1.62 -3.66
H -3.22 1.85 -0.96
H -1.40 4.77 -2.47
Cl 1.72 -2.33 -1.57
C 2.05 -0.75 -2.16
C 1.34 0.33 -1.64
C 1.80 1.60 -1.90
Cl 1.08 2.86 -0.94
C 2.83 1.86 -2.79
Cl 3.30 3.47 -3.12
C 3.46 0.77 -3.40
Cl 4.72 1.04 -4.53
C 3.09 -0.53 -3.06
Cl 3.93 -1.87 -3.73
*
```

Output
DFT total energy, eV: -228603.57788
Energy above the lowest of the compared OMol25 structures with the same formula, charge and spin, kJ/mol: 0.00
Strongest force on any atom, eV/Å: 2.932
Lowest unoccupied orbital energy, eV: -7.52
E_HOMO, eV: -12.41
Gap between HOMO and LUMO, eV: 4.89

---

# 2
Density functional theory data (the ωB97M-V functional and the def2-TZVPD basis) for a cluster of 2 separate species, C40H41N4 in total.

Structure (ORCA input):
```
! RIJCOSX wB97M-V def2-TZVPD def2/J DEFGRID3
* xyz 1 1
C 6.53 1.29 -0.82
C 5.08 1.46 -0.50
C 4.14 0.93 -1.39
C 2.79 1.25 -1.28
C 1.90 1.13 -2.48
C 2.33 1.77 -0.07
N 0.97 2.19 -0.01
C -0.25 1.46 0.16
N -1.27 2.38 -0.28
C -2.66 2.29 -0.11
C -3.19 1.79 1.13
C -2.36 1.39 2.19
C -4.61 1.65 1.20
C -5.43 2.01 0.14
C -6.90 1.72 0.20
C -4.87 2.65 -0.98
C -3.48 2.78 -1.14
C -2.96 3.43 -2.39
C -0.66 3.58 -0.58
C 0.67 3.45 -0.48
C 3.25 2.41 0.78
C 2.78 3.44 1.77
C 4.61 2.21 0.59
H 7.16 1.84 -0.11
H 6.82 0.23 -0.81
H 6.74 1.66 -1.83
H 4.47 0.32 -2.22
H 1.01 0.52 -2.30
H 1.58 2.11 -2.87
H 2.47 0.62 -3.28
H -2.62 0.52 2.78
H -0.43 1.08 1.17
H -1.62 2.08 2.60
H -5.05 1.30 2.13
H -7.43 2.32 -0.54
H -7.10 0.66 -0.01
H -7.29 1.94 1.20
H -5.52 3.05 -1.76
H -3.76 3.46 -3.13
H -2.66 4.48 -2.21
H -2.11 2.89 -2.84
H -1.19 4.46 -0.89
H 1.42 4.19 -0.73
H 3.61 3.70 2.44
H 2.49 4.36 1.23
H 1.93 3.11 2.36
H 5.32 2.70 1.25